• File:
┌──
A plane-wave DFT calculation with GGA-PBE was carried out for an optimized crystal structure of Ta2AlMo.

Cell: 2.8369 2.8369 8.9431 Å, 90.00 90.00 109.09°
With the nearest neighbours (Å) after each atom.
Fractional positions:
Ta1 0.0000 0.0000 0.9975  2 Mo 2.76, 2 Al 2.79, 4 Ta 2.84
Ta2 0.0000 0.0000 0.5025  2 Mo 2.76, 2 Al 2.79, 4 Ta 2.84
Mo1 0.5000 0.5000 0.7500  4 Ta 2.76, 4 Mo 2.84
Al1 0.5000 0.5000 0.2500  4 Ta 2.79, 4 Al 2.84

Summary:
DOS at the Fermi energy	3.425	states/eV per cell
energy of formation from the pure elements	-11.9	kJ per mole of atoms

=====

The following is a DFT calculation (meta-GGA SCAN) of FeSiHg2 at its PBEsol-relaxed geometry.

a b c (Å): 2.9369 2.9369 7.6688
angles (deg): 90.00 90.00 90.00
Last column: nearest neighbours and their distance in Å.
Space group P4mm (No. 99)
Inequivalent atoms, fractional coordinates:
Fe: 0.0000 0.0000 0.0000  4 Si 2.29
Si: 0.5000 0.5000 0.1247  4 Fe 2.29
Hg: 0.0000 0.0000 0.4163  8 Hg 2.94-3.26, 4 Si 3.05, 1 Fe 3.19
Hg: 0.5000 0.5000 0.7448  4 Fe 2.85, 1 Si 2.91, 4 Hg 2.94

Its formation energy from raw total energies is 0.375 eV per atom. The density comes out at 12.18 g/cm3. Its total energy is -162.98 eV/f.u.

The following is a DFT calculation (meta-GGA SCAN) of NbPtN2 at its PBEsol-relaxed geometry.

a b c (Å): 5.5238 5.5238 5.5238
angles (deg): 90.00 90.00 90.00
Last column: nearest neighbours and their distance in Å.
Space group Fm-3m (No. 225)
Inequivalent atoms, fractional coordinates:
Nb: 0.0000 0.0000 0.0000  8 N 2.39
Pt: 0.0000 0.0000 0.5000  8 N 2.39
N: 0.2500 0.2500 0.2500  4 Nb 2.39, 4 Pt 2.39

Its formation energy from raw total energies is 0.666 eV per atom. The density comes out at 12.45 g/cm3. Its total energy is -119.24 eV/f.u.

The following is a DFT calculation (meta-GGA SCAN) of HfBNO2 at its PBEsol-relaxed geometry.

a b c (Å): 3.2777 3.2777 3.5766
angles (deg): 90.00 90.00 90.00
Last column: nearest neighbours and their distance in Å.
Space group P4/mmm (No. 123)
Inequivalent atoms, fractional coordinates:
Hf: 0.0000 0.0000 0.0000  4 N 2.32, 8 O 2.43
B: 0.5000 0.5000 0.5000  4 O 1.64, 2 N 1.79
N: 0.5000 0.5000 0.0000  2 B 1.79
O: 0.0000 0.5000 0.5000  2 B 1.64

Its formation energy from raw total energies is -1.526 eV per atom. The density comes out at 10.17 g/cm3. Its total energy is -99.48 eV/f.u.

The following is a DFT calculation (meta-GGA SCAN) of SrLiPb2 at its PBEsol-relaxed geometry.

a b c (Å): 4.8276 4.8276 4.7849
angles (deg): 90.00 90.00 90.00
Last column: nearest neighbours and their distance in Å.
Space group P4/mmm (No. 123)
Inequivalent atoms, fractional coordinates:
Sr: 0.0000 0.0000 0.0000  8 Pb 3.40, 4 Li 3.41
Li: 0.5000 0.5000 0.0000  8 Pb 3.40, 4 Sr 3.41
Pb: 0.0000 0.5000 0.5000  4 Li 3.40, 4 Sr 3.40, 4 Pb 3.41

The density comes out at 7.58 g/cm3. The calculation puts the formation energy at -0.52 eV/atom. Its total energy is -178.29 eV/f.u.

The following is a DFT calculation (meta-GGA SCAN) of MgHg2Te at its PBEsol-relaxed geometry.

a b c (Å): 4.3039 5.6579 8.2920
angles (deg): 90.00 90.00 90.00
Last column: nearest neighbours and their distance in Å.
Space group Imm2 (No. 44)
Inequivalent atoms, fractional coordinates:
Mg: 0.0000 0.0000 0.0000  2 Hg 2.89, 2 Te 2.95
Hg: 0.0000 0.0000 0.5195  2 Hg 2.98, 2 Te 3.14
Hg: 0.0000 0.5000 0.2682  2 Mg 2.89, 2 Hg 2.98
Te: 0.0000 0.5000 0.7437  2 Mg 2.95, 2 Hg 3.14

Its formation energy from raw total energies is -0.175 eV per atom. The density comes out at 9.10 g/cm3. Its total energy is -179.26 eV/f.u.

The following is a DFT calculation (meta-GGA SCAN) of MnBi12O20 at its PBEsol-relaxed geometry.

a b c (Å): 10.0919 10.0919 10.0919
angles (deg): 90.00 90.00 90.00
Last column: nearest neighbours and their distance in Å.
Space group I23 (No. 197)
Inequivalent atoms, fractional coordinates:
Mn: 0.0000 0.0000 0.0000  4 O 1.78
Bi: 0.0147 0.3199 0.8249  3 O 2.11-2.24
O: 0.0091 0.2449 0.3692  2 Bi 2.11-2.24
O: 0.1016 0.1016 0.1016  1 Mn 1.78
O: 0.1980 0.1980 0.8020  3 Bi 2.23
└──

• Brief:
Could you find "Si: 0.5000" and "0.8020" in the material above, and retype these two lines and those between?

• Worked solution:
Si: 0.5000 0.5000 0.1247  4 Fe 2.29
Hg: 0.0000 0.0000 0.4163  8 Hg 2.94-3.26, 4 Si 3.05, 1 Fe 3.19
Hg: 0.5000 0.5000 0.7448  4 Fe 2.85, 1 Si 2.91, 4 Hg 2.94

Its formation energy from raw total energies is 0.375 eV per atom. The density comes out at 12.18 g/cm3. Its total energy is -162.98 eV/f.u.

The following is a DFT calculation (meta-GGA SCAN) of NbPtN2 at its PBEsol-relaxed geometry.

a b c (Å): 5.5238 5.5238 5.5238
angles (deg): 90.00 90.00 90.00
Last column: nearest neighbours and their distance in Å.
Space group Fm-3m (No. 225)
Inequivalent atoms, fractional coordinates:
Nb: 0.0000 0.0000 0.0000  8 N 2.39
Pt: 0.0000 0.0000 0.5000  8 N 2.39
N: 0.2500 0.2500 0.2500  4 Nb 2.39, 4 Pt 2.39

Its formation energy from raw total energies is 0.666 eV per atom. The density comes out at 12.45 g/cm3. Its total energy is -119.24 eV/f.u.

The following is a DFT calculation (meta-GGA SCAN) of HfBNO2 at its PBEsol-relaxed geometry.

a b c (Å): 3.2777 3.2777 3.5766
angles (deg): 90.00 90.00 90.00
Last column: nearest neighbours and their distance in Å.
Space group P4/mmm (No. 123)
Inequivalent atoms, fractional coordinates:
Hf: 0.0000 0.0000 0.0000  4 N 2.32, 8 O 2.43
B: 0.5000 0.5000 0.5000  4 O 1.64, 2 N 1.79
N: 0.5000 0.5000 0.0000  2 B 1.79
O: 0.0000 0.5000 0.5000  2 B 1.64

Its formation energy from raw total energies is -1.526 eV per atom. The density comes out at 10.17 g/cm3. Its total energy is -99.48 eV/f.u.

The following is a DFT calculation (meta-GGA SCAN) of SrLiPb2 at its PBEsol-relaxed geometry.

a b c (Å): 4.8276 4.8276 4.7849
angles (deg): 90.00 90.00 90.00
Last column: nearest neighbours and their distance in Å.
Space group P4/mmm (No. 123)
Inequivalent atoms, fractional coordinates:
Sr: 0.0000 0.0000 0.0000  8 Pb 3.40, 4 Li 3.41
Li: 0.5000 0.5000 0.0000  8 Pb 3.40, 4 Sr 3.41
Pb: 0.0000 0.5000 0.5000  4 Li 3.40, 4 Sr 3.40, 4 Pb 3.41

The density comes out at 7.58 g/cm3. The calculation puts the formation energy at -0.52 eV/atom. Its total energy is -178.29 eV/f.u.

The following is a DFT calculation (meta-GGA SCAN) of MgHg2Te at its PBEsol-relaxed geometry.

a b c (Å): 4.3039 5.6579 8.2920
angles (deg): 90.00 90.00 90.00
Last column: nearest neighbours and their distance in Å.
Space group Imm2 (No. 44)
Inequivalent atoms, fractional coordinates:
Mg: 0.0000 0.0000 0.0000  2 Hg 2.89, 2 Te 2.95
Hg: 0.0000 0.0000 0.5195  2 Hg 2.98, 2 Te 3.14
Hg: 0.0000 0.5000 0.2682  2 Mg 2.89, 2 Hg 2.98
Te: 0.0000 0.5000 0.7437  2 Mg 2.95, 2 Hg 3.14

Its formation energy from raw total energies is -0.175 eV per atom. The density comes out at 9.10 g/cm3. Its total energy is -179.26 eV/f.u.

The following is a DFT calculation (meta-GGA SCAN) of MnBi12O20 at its PBEsol-relaxed geometry.

a b c (Å): 10.0919 10.0919 10.0919
angles (deg): 90.00 90.00 90.00
Last column: nearest neighbours and their distance in Å.
Space group I23 (No. 197)
Inequivalent atoms, fractional coordinates:
Mn: 0.0000 0.0000 0.0000  4 O 1.78
Bi: 0.0147 0.3199 0.8249  3 O 2.11-2.24
O: 0.0091 0.2449 0.3692  2 Bi 2.11-2.24
O: 0.1016 0.1016 0.1016  1 Mn 1.78
O: 0.1980 0.1980 0.8020  3 Bi 2.23